links for 2005-04-07

In Florida: Shoot First, Think Later

Weird law in Jeb Bush’s state…

Florida’s legislature has approved a bill that would give residents the right to open fire against anyone they perceive as a threat in public, instead of having to try to avoid a conflict as under prevailing law.

Outraged opponents say the law will encourage Floridians to open fire first and ask questions later, fostering a sort of statewide Wild West shootout mentality.

Republican Governor Jeb Bush, who has said he plans to sign the bill, says it is “a good, commonsense, anti-crime issue.”

The bill is supported by the influential National Rifle Association.

[Source: Yahoo! News]

I think this law is absurd.
This basically gives people the right to go on and shoot whoever they feel like, under the pretext that they thought he/she was a threat.

I don’t see what’s so common-sense and anti-crime in it!
It seems the Bush family has an obsession with the wild west and stupid decisions.

## Data records, as found in the file
1.
This entry pairs a crystal structure of Th4TlOs2 with its calculated X-ray diffraction stick pattern. Radiation: Cu Kα (λ = 1.5418 Å). Structure: a cell relaxed with PBE.
Neutral-atom scattering factors, no anomalous dispersion.

Peak list (12 most intense, 2θ = 10–90°, by angle)
| two_theta | I (rel.) |
| --- | --- |
| 28.04 | 40 |
| 28.19 | 20 |
| 31.05 | 100 |
| 31.26 | 41 |
| 31.80 | 69 |
| 32.28 | 56 |
| 32.48 | 47 |
| 33.73 | 42 |
| 35.05 | 87 |
| 39.52 | 36 |
| 41.75 | 28 |
| 43.18 | 34 |

Structure:
Cell lengths 8.841, 8.841, 7.097 Å; angles 107.26, 107.26, 121.02 degrees
Sites, in units of the cell vectors:
Th 0.017 0.983 0.500
Th 0.034 0.470 0.287
Th 0.300 0.857 0.147
Th 0.424 0.578 0.826
Th 0.470 0.034 0.787
Th 0.578 0.424 0.326
Th 0.857 0.300 0.647
Th 0.983 0.017 0.000
Tl 0.559 0.780 0.471
Tl 0.780 0.559 0.971
Os 0.054 0.730 0.684
Os 0.205 0.384 0.997
Os 0.384 0.205 0.497
Os 0.730 0.054 0.184

=====

2.
This entry pairs a crystal structure of Th6Tl3Os with its calculated X-ray diffraction stick pattern. Radiation: Cu Kα (λ = 1.5418 Å). Structure: a cell relaxed with PBE.
Neutral-atom scattering factors, no anomalous dispersion.

Peak list (12 most intense, 2θ = 10–90°, by angle)
| two_theta | I (rel.) |
| --- | --- |
| 25.93 | 22 |
| 29.00 | 23 |
| 29.33 | 70 |
| 29.58 | 33 |
| 30.19 | 47 |
| 31.03 | 49 |
| 31.76 | 32 |
| 31.98 | 34 |
| 32.29 | 36 |
| 33.10 | 100 |
| 33.98 | 23 |
| 52.56 | 23 |

Structure:
Cell lengths 6.093, 9.064, 12.559 Å; angles 90.00, 116.97, 90.00 degrees
Sites, in units of the cell vectors:
Th 0.038 0.155 0.440
Th 0.038 0.345 0.940
Th 0.363 0.695 0.437
Th 0.363 0.805 0.937
Th 0.404 0.043 0.268
Th 0.404 0.457 0.768
Th 0.596 0.543 0.232
Th 0.596 0.957 0.732
Th 0.637 0.195 0.063
Th 0.637 0.305 0.563
Th 0.962 0.655 0.060
Th 0.962 0.845 0.560
Tl 0.000 0.000 0.000
Tl 0.000 0.500 0.500
Tl 0.155 0.123 0.763
Tl 0.155 0.377 0.263
Tl 0.845 0.623 0.737
Tl 0.845 0.877 0.237
Os 0.500 0.000 0.500
Os 0.500 0.500 0.000

=====

3.
This entry pairs a crystal structure of YThOs with its calculated X-ray diffraction stick pattern. Radiation: Cu Kα (λ = 1.5418 Å). Structure: a cell relaxed with PBE.
Neutral-atom scattering factors, no anomalous dispersion.

Peak list (12 most intense, 2θ = 10–90°, by angle)
| two_theta | I (rel.) |
| --- | --- |
| 11.15 | 90 |
| 31.25 | 100 |
| 33.89 | 12 |
| 35.32 | 33 |
| 37.04 | 19 |
| 37.15 | 26 |
| 38.80 | 23 |
| 38.91 | 27 |
| 41.32 | 19 |
| 45.28 | 12 |
| 48.26 | 11 |
| 50.11 | 20 |

Structure:
Cell lengths 9.440, 9.440, 9.440 Å; angles 114.40, 114.40, 114.40 degrees
Sites, in units of the cell vectors:
Y 0.128 0.315 0.427
Y 0.315 0.427 0.128
Y 0.427 0.128 0.315
Y 0.573 0.872 0.685
Y 0.685 0.573 0.872
Y 0.872 0.685 0.573
Th 0.011 0.503 0.813
Th 0.187 0.989 0.497
Th 0.497 0.187 0.989
Th 0.503 0.813 0.011
Th 0.813 0.011 0.503
Th 0.989 0.497 0.187
Os 0.218 0.719 0.648
Os 0.281 0.352 0.782
Os 0.352 0.782 0.281
Os 0.648 0.218 0.719
Os 0.719 0.648 0.218
Os 0.782 0.281 0.352

=====

4.

LinkLog Changes

As some of you might have noticed, I’ve taken the LinkLog off the sidebar and replaced it with daily inline posts of the interesting links I find while surfing the web.

I did this because I wanted to share more of the links I find with you guys in a more practical way.

I hope you’re enjoying the links more this way.
If you have any suggestions about anything in the blog, please do let me know.

links for 2005-04-06


Is there such a thing as absolute truth?

People always seem to have different perceptions of what the truth is. There are always different sides and versions of every story, different points of view, and every version is further interpreted in various ways by the people learning of it.
So how can there be one absolute truth? How can anyone ever be sure which version is the true one? How can anyone be sure that their intrepretation of the truth is true?

I guess the only things we can be sure are absolutely true are things that are fixed, invariable, unalterable facts that can be unquestionably proven one way or the other.

Other than that, truth is pretty relative, as it depends on how you look at things, which strips it of its right to be called truth and makes it more of a belief.

People mostly just believe that some things are true or right without them having to be.

Israel Exposes Palestinians to Killer Radiations

Action AlertRead and spread this…

Amidst stark warnings of potential outbreak of chronic and deadly diseases, Israeli occupation troops have recently set up a “radioactive” glass room at the main Rafah crossing through which Palestinians have to pass to enter or exit the Gaza Strip.

Palestinian medics said that potential diseases include thrombocytopenic, sterility, congenital anomalies, cancer, leukemia, mental retardation and ductless glands disorder, warning that Palestinians are slipping toward slow death.

“I was forced by Israeli occupation troops to enter this scary room-like radiating device, which consists of glass and barbed wire,” Mohammad Al-Sadoudi, 40, says.

Walid Al-Salhi, the director of preventive security at the Rafah crossing, said the room is made of lead-coated glass and is holding inside it a one-meter high cylinder-shaped device.

“Doctors warned that this device produces life-threatening, bone-piercing rays and Israeli troops can easily see the body parts of Palestinians, using the infra-red technology,” Salhi said.

[Attached: data records]
<<<
# SmY3Tl
Simulated powder X-ray diffraction pattern, copper Kα. Input: a GGA-PBE-relaxed structure.
No peak broadening, texture or thermal motion is included.

Crystal structure
a = 4.882 Å, b = 25.397 Å, c = 4.868 Å
α = 90.00°, β = 90.00°, γ = 90.00°
Space group Cmcm (No. 63)
Asymmetric unit:
Sm  0.000  0.149  0.250 x4
Y  0.000  0.049  0.750 x4
Y  0.000  0.250  0.750 x4
Y  0.000  0.447  0.750 x4
Tl  0.000  0.347  0.250 x4

Most intense lines, 2θ from 15° to 90°, in order of rising 2θ:
| hkl | Position (°2θ) | I_rel |
| --- | --- | --- |
| 1 5 1 | 31.36 | 100 |
| 0 10 0 | 35.34 | 18 |
| 2 0 0 | 36.82 | 17 |
| 0 0 2 | 36.93 | 16 |
| 2 10 0 | 52.00 | 24 |
| 1 15 1 | 60.97 | 14 |
| 3 5 1 | 62.94 | 13 |
| 1 5 3 | 63.08 | 13 |

# Sm3Y3Tl
Simulated powder X-ray diffraction pattern, copper Kα. Input: a GGA-PBE-relaxed structure.
No peak broadening, texture or thermal motion is included.

Crystal structure
a = 9.508 Å, b = 5.630 Å, c = 9.513 Å
α = 90.00°, β = 119.97°, γ = 90.00°
Space group P2_1/m (No. 11)
Asymmetric unit:
Sm  0.020  0.250  0.392 x2
Sm  0.128  0.750  0.021 x2
Sm  0.393  0.750  0.872 x2
Y  0.259  0.750  0.437 x2
Y  0.323  0.250  0.260 x2
Y  0.436  0.250  0.677 x2
Tl  0.167  0.250  0.834 x2

Most intense lines, 2θ from 15° to 90°, in order of rising 2θ:
| hkl | Position (°2θ) | I_rel |
| --- | --- | --- |
| 3 0 -1 | 28.67 | 24 |
| 0 2 0 | 31.79 | 24 |
| 1 1 2 | 32.87 | 100 |
| 3 2 -1 | 43.33 | 15 |
| 4 0 1 | 50.79 | 18 |
| 1 3 2 | 57.33 | 20 |
| 4 2 1 | 61.17 | 21 |
| 6 1 -2 | 61.83 | 15 |
>>>

[More: Islam Online, GCMHP]
[Via: The Black Iris]

Tunisian Blogger Meetup

I’m trying to organize the first Tunisian Blogger Meetup this month.

The initial feedback I’ve had from some bloggers for the when and where for the meetup is as follows:

When? The time some suggested and that seems to be good for everyone up to now is a friday afternoon after work. I’m thinking something like 7:30PM on April 22nd.

Where? The main places that were suggested are:

– Downtown Tunis (e.g. L’Etoile du nord).
– Les Berges du Lac (e.g. Biwa)
– Sidi Bou Said (e.g. Sidi Chabaane Caf

links for 2005-04-04